Set down every line further down that contains the word "DFT".

Computed, not measured: crystalline Re2PCl13 at its relaxed geometry at the PBE level of DFT.

Cell: 11.1719 9.1854 9.7315 Å, 81.67 90.00 90.00°
Element x y z (fractional)
Cl1 0.1071 0.1917 0.4215
Cl2 0.6024 0.1906 0.7384
Cl3 0.7500 0.8117 0.2926
Cl4 0.7500 0.5229 0.5196
Cl5 0.7500 0.4378 0.8943
Cl6 0.1024 0.8094 0.2616
Cl7 0.8929 0.8083 0.5785
Cl8 0.2500 0.1883 0.7074
Cl9 0.2500 0.4771 0.4804
Cl10 0.3976 0.8094 0.2616
Cl11 0.3988 0.5206 0.8178
Cl12 0.4064 0.8492 0.9173
Cl13 0.1012 0.5206 0.8178
Cl14 0.3929 0.1917 0.4215
Cl15 0.2500 0.0844 0.0721
Cl16 0.8976 0.1906 0.7384
Cl17 0.7500 0.9156 0.9279
Cl18 0.6012 0.4794 0.1822
Cl19 0.2500 0.5622 0.1057
Cl20 0.5936 0.1508 0.0827
Cl21 0.8988 0.4794 0.1822
Cl22 0.0936 0.8492 0.9173
Cl23 0.6071 0.8083 0.5785
Cl24 0.9064 0.1508 0.0827
Cl25 0.7500 0.2027 0.3635
Cl26 0.2500 0.7973 0.6365
Re1 0.2500 0.8295 0.0922
Re2 0.7500 0.1705 0.9078
Re3 0.2500 0.6802 0.8662
Re4 0.7500 0.3198 0.1338
P1 0.7500 0.7381 0.4910
P2 0.2500 0.2619 0.5090

Output
Formation enthalpy at 0 K   -1.139 eV per atom

---

Computed, not measured: crystalline TaP2S2Cl5 at its relaxed geometry at the PBE level of DFT.

Cell: 13.8007 6.8392 27.7551 Å, 79.69 90.00 90.00°
Element x y z (fractional)
S1 0.5529 0.5462 0.0747
S2 0.5712 0.8524 0.8818
S3 0.9471 0.5462 0.5747
S4 0.7826 0.3693 0.6674
S5 0.2826 0.6307 0.8326
S6 0.4756 0.4491 0.1939
S7 0.4288 0.1476 0.1182
S8 0.5244 0.5509 0.8061
S9 0.0712 0.1476 0.6182
S10 0.7174 0.3693 0.1674
S11 0.0244 0.4491 0.6939
S12 0.4471 0.4538 0.9253
S13 0.0529 0.4538 0.4253
S14 0.9288 0.8524 0.3818
S15 0.9756 0.5509 0.3061
S16 0.2174 0.6307 0.3326
P1 0.0895 0.7590 0.2970
P2 0.9318 0.0687 0.6410
P3 0.3433 0.6752 0.9004
P4 0.8433 0.3248 0.5996
P5 0.5895 0.2410 0.2030
P6 0.1567 0.6752 0.4004
P7 0.0682 0.9313 0.3590
P8 0.9105 0.2410 0.7030
P9 0.5682 0.0687 0.1410
P10 0.5707 0.5390 0.8801
P11 0.4105 0.7590 0.7970
P12 0.4318 0.9313 0.8590
P13 0.4293 0.4610 0.1199
P14 0.0707 0.4610 0.6199
P15 0.6567 0.3248 0.0996
P16 0.9293 0.5390 0.3801
Cl1 0.7444 0.2446 0.2973
Cl2 0.1131 0.8236 0.0317
Cl3 0.8954 0.4101 0.0722
Cl4 0.1935 0.0397 0.9150
Cl5 0.7556 0.2446 0.7973
Cl6 0.7640 0.5663 0.4872
Cl7 0.3065 0.0397 0.4150
Cl8 0.6405 0.1211 0.0031
Cl9 0.5144 0.2684 0.3215
Cl10 0.2556 0.7554 0.7027
Cl11 0.8869 0.1764 0.9683
Cl12 0.3954 0.5899 0.4278
Cl13 0.5255 0.1200 0.7292
Cl14 0.2640 0.4337 0.0128
Cl15 0.4745 0.8800 0.2708
Cl16 0.1046 0.5899 0.9278
Cl17 0.6353 0.8258 0.3715
Cl18 0.2920 0.1578 0.7486
Cl19 0.6935 0.9603 0.5850
Cl20 0.8065 0.9603 0.0850
Cl21 0.3869 0.8236 0.5317
Cl22 0.7920 0.8422 0.7514
Cl23 0.1405 0.8789 0.4969
Cl24 0.1353 0.1742 0.1285
Cl25 0.4856 0.7316 0.6785
Cl26 0.8595 0.1211 0.5031
Cl27 0.8647 0.8258 0.8715
Cl28 0.9856 0.2684 0.8215
Cl29 0.3595 0.8789 0.9969
Cl30 0.3647 0.1742 0.6285
Cl31 0.2080 0.1578 0.2486
Cl32 0.7080 0.8422 0.2514
Cl33 0.6131 0.1764 0.4683
Cl34 0.0255 0.8800 0.7708
Cl35 0.2360 0.4337 0.5128
Cl36 0.2444 0.7554 0.2027
Cl37 0.9745 0.1200 0.2292
Cl38 0.7360 0.5663 0.9872
Cl39 0.0144 0.7316 0.1785
Cl40 0.6046 0.4101 0.5722
Ta1 0.3868 0.9733 0.7026
Ta2 0.2131 0.7477 0.9725
Ta3 0.2869 0.7477 0.4725
Ta4 0.7869 0.2523 0.0275
Ta5 0.6132 0.0267 0.2974
Ta6 0.7131 0.2523 0.5275
Ta7 0.1132 0.9733 0.2026
Ta8 0.8868 0.0267 0.7974

Output
Formation enthalpy at 0 K   -1.291 eV per atom

---

Computed, not measured: crystalline TiP2S8Cl2 at its relaxed geometry at the PBE level of DFT.

Cell: 13.0411 7.1784 17.5631 Å, 66.59 90.00 90.00°
Element x y z (fractional)
S1 0.8407 0.7998 0.3466
S2 0.5957 0.6489 0.0534
S3 0.5839 0.2668 0.7108
S4 0.6439 0.5578 0.2587
S5 0.8383 0.1631 0.4121
S6 0.4043 0.3511 0.9466
S7 0.4341 0.9730 0.8694
S8 0.9161 0.2668 0.2108
S9 0.2881 0.1254 0.4032
S10 0.0839 0.7332 0.7892
S11 0.5659 0.0270 0.1306
S12 0.8561 0.5578 0.7587
S13 0.3561 0.4422 0.7413
S14 0.9341 0.0270 0.6306
S15 0.4161 0.7332 0.2892
S16 0.0957 0.3511 0.4466
S17 0.6617 0.1631 0.9121
S18 0.9043 0.6489 0.5534
S19 0.1593 0.2002 0.6534
S20 0.1617 0.8369 0.5879
S21 0.5118 0.4982 0.7315

Computed, not measured: crystalline Re2PCl13 at its relaxed geometry at the PBE level of DFT.
Computed, not measured: crystalline TaP2S2Cl5 at its relaxed geometry at the PBE level of DFT.
Computed, not measured: crystalline TiP2S8Cl2 at its relaxed geometry at the PBE level of DFT.